### Wanted
Your job: give back only the last part of the entries further down, starting with the line that has "0.0653 0.3292".

### Entries
-- begin --
A plane-wave DFT calculation with PBE was carried out for an optimized crystal structure of PrYTlRu.

Space-group type: F-43m, No. 216
Spin magnetization (μB per formula unit): 0.00
Electronic total energy (eV per cell): -23.596

Lattice parameters (Å, degrees): 5.1955 5.1955 5.1955 60.00 60.00 60.00
Sites, in units of the cell vectors:
Pr: 0.0000 0.0000 0.0000
Y: 0.5000 0.5000 0.5000
Tl: 0.2500 0.2500 0.2500
Ru: 0.7500 0.7500 0.7500

***

A plane-wave DFT calculation with PBE was carried out for an optimized crystal structure of Pr2TmRu.

Space-group type: R-3m, No. 166
Spin magnetization (μB per formula unit): 0.00
Electronic total energy (eV per cell): -22.340

Lattice parameters (Å, degrees): 10.9087 10.9087 10.9087 19.06 19.06 19.06
Sites, in units of the cell vectors:
Pr: 0.1057 0.1057 0.1057
Pr: 0.8943 0.8943 0.8943
Tm: 0.0000 0.0000 0.0000
Ru: 0.5000 0.5000 0.5000

***

A plane-wave DFT calculation with PBE was carried out for an optimized crystal structure of Pr2TmRu.

Space-group type: Pnma, No. 62
Spin magnetization (μB per formula unit): 0.00
Electronic total energy (eV per cell): -96.662

Lattice parameters (Å, degrees): 7.3748 9.7102 6.3878 90.00 90.00 90.00
Sites, in units of the cell vectors:
Pr: 0.1775 0.0653 0.1708
Pr: 0.1775 0.4347 0.1708
Pr: 0.3225 0.5653 0.6708
Pr: 0.3225 0.9347 0.6708
Pr: 0.6775 0.0653 0.3292
Pr: 0.6775 0.4347 0.3292
Pr: 0.8225 0.5653 0.8292
Pr: 0.8225 0.9347 0.8292
Tm: 0.0451 0.2500 0.6479
Tm: 0.4549 0.7500 0.1479
Tm: 0.5451 0.2500 0.8521
Tm: 0.9549 0.7500 0.3521
Ru: 0.1160 0.7500 0.9640
Ru: 0.3840 0.2500 0.4640
Ru: 0.6160 0.7500 0.5360
Ru: 0.8840 0.2500 0.0360

***

A plane-wave DFT calculation with PBE was carried out for an optimized crystal structure of PrTm3Ru.

Space-group type: C2/m, No. 12
Spin magnetization (μB per formula unit): 0.00
Electronic total energy (eV per cell): -56.958

Lattice parameters (Å, degrees): 7.1888 7.1888 8.0372 122.95 122.95 71.67
Sites, in units of the cell vectors:
Pr: 0.0523 0.0523 0.3320
Pr: 0.9477 0.9477 0.6680
Tm: 0.0626 0.4614 0.2141
Tm: 0.4433 0.4433 0.7451
Tm: 0.4614 0.0626 0.2141
Tm: 0.5386 0.9374 0.7859
Tm: 0.5567 0.5567 0.2549
Tm: 0.9374 0.5386 0.7859
Ru: 0.2568 0.2568 0.9011
Ru: 0.7432 0.7432 0.0989

***

A plane-wave DFT calculation with PBE was carried out for an optimized crystal structure of PrTm3Ru2.

Space-group type: P4/mmm, No. 123
Spin magnetization (μB per formula unit): 0.00
Electronic total energy (eV per cell): -38.855

Lattice parameters (Å, degrees): 3.3981 3.3981 12.3313 90.00 90.00 90.00
Sites, in units of the cell vectors:
Pr: 0.0000 0.0000 0.0000
Tm: 0.5000 0.5000 0.2340
Tm: 0.5000 0.5000 0.5000
Tm: 0.5000 0.5000 0.7660
Ru: 0.0000 0.0000 0.3590
Ru: 0.0000 0.0000 0.6410

***

A plane-wave DFT calculation with PBE was carried out for an optimized crystal structure of PrTm5Ru4.

Space-group type: P4/mmm, No. 123
Spin magnetization (μB per formula unit): 0.00
Electronic total energy (eV per cell): -67.915

Lattice parameters (Å, degrees): 3.3747 3.3747 19.1188 90.00 90.00 90.00
Sites, in units of the cell vectors:
Pr: 0.0000 0.0000 0.0000
Tm: 0.5000 0.5000 0.1526
Tm: 0.5000 0.5000 0.3259
Tm: 0.5000 0.5000 0.5000
Tm: 0.5000 0.5000 0.6741
Tm: 0.5000 0.5000 0.8474
Ru: 0.0000 0.0000 0.2331
Ru: 0.0000 0.0000 0.4120
Ru: 0.0000 0.0000 0.5880
Ru: 0.0000 0.0000 0.7669

***

Number 1: formation energy -68.5 kJ/mol of formula units. Number 2: formation energy 93.2 kJ/mol of formula units. Number 3: formation energy -82.9 kJ/mol of formula units. Number 4: formation energy -97.4 kJ/mol of formula units. Number 5: formation energy -203.5 kJ/mol of formula units. Number 6: formation energy -354.5 kJ/mol of formula units.


1.
ScMoP2O | GGA-PBEsol | optimized geometry

Unit cell a=3.739 b=4.893 c=4.893 alpha=90.00 beta=90.00 gamma=90.00
Last column: magnetic moment on the atom in μB.
Sites, in units of the cell vectors:
P 0.000 0.500 0.000  -0.16
O 0.500 0.000 0.000  -0.02
Mo 0.500 0.500 0.500  2.56
Sc 0.000 0.000 0.000  -0.01
-- stop --

### Outcome
Pr: 0.6775 0.0653 0.3292
Pr: 0.6775 0.4347 0.3292
Pr: 0.8225 0.5653 0.8292
Pr: 0.8225 0.9347 0.8292
Tm: 0.0451 0.2500 0.6479
Tm: 0.4549 0.7500 0.1479
Tm: 0.5451 0.2500 0.8521
Tm: 0.9549 0.7500 0.3521
Ru: 0.1160 0.7500 0.9640
Ru: 0.3840 0.2500 0.4640
Ru: 0.6160 0.7500 0.5360
Ru: 0.8840 0.2500 0.0360

***

A plane-wave DFT calculation with PBE was carried out for an optimized crystal structure of PrTm3Ru.

Space-group type: C2/m, No. 12
Spin magnetization (μB per formula unit): 0.00
Electronic total energy (eV per cell): -56.958

Lattice parameters (Å, degrees): 7.1888 7.1888 8.0372 122.95 122.95 71.67
Sites, in units of the cell vectors:
Pr: 0.0523 0.0523 0.3320
Pr: 0.9477 0.9477 0.6680
Tm: 0.0626 0.4614 0.2141
Tm: 0.4433 0.4433 0.7451
Tm: 0.4614 0.0626 0.2141
Tm: 0.5386 0.9374 0.7859
Tm: 0.5567 0.5567 0.2549
Tm: 0.9374 0.5386 0.7859
Ru: 0.2568 0.2568 0.9011
Ru: 0.7432 0.7432 0.0989

***

A plane-wave DFT calculation with PBE was carried out for an optimized crystal structure of PrTm3Ru2.

Space-group type: P4/mmm, No. 123
Spin magnetization (μB per formula unit): 0.00
Electronic total energy (eV per cell): -38.855

Lattice parameters (Å, degrees): 3.3981 3.3981 12.3313 90.00 90.00 90.00
Sites, in units of the cell vectors:
Pr: 0.0000 0.0000 0.0000
Tm: 0.5000 0.5000 0.2340
Tm: 0.5000 0.5000 0.5000
Tm: 0.5000 0.5000 0.7660
Ru: 0.0000 0.0000 0.3590
Ru: 0.0000 0.0000 0.6410

***

A plane-wave DFT calculation with PBE was carried out for an optimized crystal structure of PrTm5Ru4.

Space-group type: P4/mmm, No. 123
Spin magnetization (μB per formula unit): 0.00
Electronic total energy (eV per cell): -67.915

Lattice parameters (Å, degrees): 3.3747 3.3747 19.1188 90.00 90.00 90.00
Sites, in units of the cell vectors:
Pr: 0.0000 0.0000 0.0000
Tm: 0.5000 0.5000 0.1526
Tm: 0.5000 0.5000 0.3259
Tm: 0.5000 0.5000 0.5000
Tm: 0.5000 0.5000 0.6741
Tm: 0.5000 0.5000 0.8474
Ru: 0.0000 0.0000 0.2331
Ru: 0.0000 0.0000 0.4120
Ru: 0.0000 0.0000 0.5880
Ru: 0.0000 0.0000 0.7669

***

Number 1: formation energy -68.5 kJ/mol of formula units. Number 2: formation energy 93.2 kJ/mol of formula units. Number 3: formation energy -82.9 kJ/mol of formula units. Number 4: formation energy -97.4 kJ/mol of formula units. Number 5: formation energy -203.5 kJ/mol of formula units. Number 6: formation energy -354.5 kJ/mol of formula units.


1.
ScMoP2O | GGA-PBEsol | optimized geometry

Unit cell a=3.739 b=4.893 c=4.893 alpha=90.00 beta=90.00 gamma=90.00
Last column: magnetic moment on the atom in μB.
Sites, in units of the cell vectors:
P 0.000 0.500 0.000  -0.16
O 0.500 0.000 0.000  -0.02
Mo 0.500 0.500 0.500  2.56
Sc 0.000 0.000 0.000  -0.01